Brief.
Say how many lines of the block further down hold the word "H1", as a bare number, please.
Data.
- - -
1.
Simulated powder diffractogram
Compound: LiH2N
Radiation: Cu Kα, 1.54184 Å
Structure: a structure optimized by DFT (GGA-PBE)
Intensities are scaled so that the largest is 1000.

Crystal structure
```
data_LiH2N
_chemical_formula_sum 'Li4 H8 N4'
_cell_length_a 3.8329
_cell_length_b 3.3598
_cell_length_c 11.3327
_cell_angle_alpha 90.00
_cell_angle_beta 96.06
_cell_angle_gamma 90.00
_space_group_name_H-M_alt 'P 1'
_space_group_IT_number 1
_space_group_name_Hall 'P 1'
loop_
_atom_site_label
_atom_site_type_symbol
_atom_site_fract_x
_atom_site_fract_y
_atom_site_fract_z
_atom_site_occupancy
Li1 Li 0.2425 0.2010 0.2291 1
Li2 Li 0.2425 0.2990 0.7291 1
Li3 Li 0.7575 0.7010 0.2709 1
Li4 Li 0.7575 0.7990 0.7709 1
H1 H 0.2083 0.5940 0.9059 1
H2 H 0.2083 0.9060 0.4059 1
H3 H 0.3874 0.0149 0.9019 1
H4 H 0.3874 0.4851 0.4019 1
H5 H 0.6126 0.5149 0.5981 1
H6 H 0.6126 0.9851 0.0981 1
H7 H 0.7917 0.0940 0.5941 1
H8 H 0.7917 0.4060 0.0941 1
N1 N 0.2808 0.7026 0.3452 1
N2 N 0.2808 0.7974 0.8452 1
N3 N 0.7192 0.2026 0.1548 1
N4 N 0.7192 0.2974 0.6548 1
```

Main lines, sorted by position (15° ≤ 2θ ≤ 90°):
15.73 deg, I = 1000; 26.82 deg, I = 568; 29.65 deg, I = 474; 30.99 deg, I = 819; 31.76 deg, I = 121; 35.62 deg, I = 191; 41.85 deg, I = 177; 46.65 deg, I = 156; 47.72 deg, I = 162; 50.23 deg, I = 192


2.
Simulated powder diffractogram
Compound: LiH2N
Radiation: Cu Kα, 1.54184 Å
Structure: a structure optimized by DFT (GGA-PBE)
Intensities are scaled so that the largest is 1000.

Crystal structure
```
data_LiH2N
_chemical_formula_sum 'Li4 H8 N4'
_cell_length_a 7.3610
_cell_length_b 3.1841
_cell_length_c 5.8124
_cell_angle_alpha 90.00
_cell_angle_beta 90.00
_cell_angle_gamma 90.00
_space_group_name_H-M_alt 'P 1'
_space_group_IT_number 1
_space_group_name_Hall 'P 1'
loop_
_atom_site_label
_atom_site_type_symbol
_atom_site_fract_x
_atom_site_fract_y
_atom_site_fract_z
_atom_site_occupancy
Li1 Li 0.0281 0.1672 0.0000 1
Li2 Li 0.4719 0.6672 0.5000 1
Li3 Li 0.5281 0.3328 0.0000 1
Li4 Li 0.9719 0.8328 0.5000 1
H1 H 0.1352 0.4097 0.7089 1
H2 H 0.2407 0.7948 0.8225 1
H3 H 0.2593 0.2948 0.3225 1
H4 H 0.3648 0.9097 0.2089 1
H5 H 0.6352 0.0903 0.7089 1
H6 H 0.7407 0.7052 0.8225 1
H7 H 0.7593 0.2052 0.3225 1
H8 H 0.8648 0.5903 0.2089 1
N1 N 0.1105 0.6876 0.7943 1
N2 N 0.3895 0.1876 0.2943 1
N3 N 0.6105 0.8124 0.7943 1
N4 N 0.8895 0.3124 0.2943 1
```

Main lines, sorted by position (15° ≤ 2θ ≤ 90°):
24.18 deg, I = 91; 28.71 deg, I = 1000; 30.77 deg, I = 233; 32.05 deg, I = 470; 37.34 deg, I = 181; 43.94 deg, I = 92; 49.14 deg, I = 229; 55.52 deg, I = 123; 59.44 deg, I = 91; 60.23 deg, I = 82

~~~~~

Simulated powder X-ray diffraction pattern
Compound: KTlSnCl4
Radiation: Cu Kα
Structure: DFT lattice parameters and positions (GGA-PBE)
Neutral-atom scattering factors, no anomalous dispersion.

Most intense lines, 10° ≤ 2θ ≤ 90°, by angle:
- 2θ 11.03, I = 45
- 2θ 16.85, I = 35
- 2θ 22.57, I = 77
- 2θ 23.06, I = 79
- 2θ 25.19, I = 26
- 2θ 32.16, I = 100
- 2θ 39.92, I = 41
- 2θ 40.79, I = 20
- 2θ 46.11, I = 50
- 2θ 47.12, I = 29

Cell and atoms:
```
KTlSnCl4
1.0
-2.7855 2.7855 8.0204
2.7855 -2.7855 8.0204
2.7855 2.7855 -8.0204
K Tl Sn Cl
1 1 1 4
direct
0.0000 0.0000 0.0000
0.7211 0.7211 0.0000
0.3637 0.3637 0.0000
0.1923 0.1923 0.0000
0.3734 0.8734 0.5000
0.5432 0.5432 0.0000
0.8734 0.3734 0.5000
```

~~~~~

Entry 1:
Structure and simulated powder XRD pattern of Li2Fe3P5O18 (the GGA+U geometry in the Materials Project; Cu Kα, 1.54184 Å).
Lines closer than 0.1° are merged.

Structure:
abc: 13.071 13.071 12.570
angles: 91.73 91.73 21.79
Fractional coordinates of all 56 atoms:
Li 0.013 0.317 0.364
Li 0.317 0.013 0.864
Li 0.683 0.987 0.136
Li 0.987 0.683 0.636
Fe 0.000 0.000 0.000
Fe 0.000 0.000 0.500
Fe 0.224 0.379 0.379
Fe 0.379 0.224 0.879
Fe 0.621 0.776 0.121
Fe 0.776 0.621 0.621
P 0.200 0.348 0.128
P 0.230 0.770 0.250
P 0.348 0.200 0.628
P 0.430 0.433 0.408
P 0.433 0.430 0.908
P 0.567 0.570 0.092
P 0.570 0.567 0.592
P 0.652 0.800 0.372
P 0.770 0.230 0.750
- - -
Result.
2